**Contents:**
-- begin --
(1)
# Tl2InTe, optimized geometry, DFT GGA-PBE
data_Tl2InTe
_symmetry_space_group_name_H-M 'P 1'
_symmetry_Int_Tables_number 1
_cell_length_a 4.135
_cell_length_b 4.135
_cell_length_c 7.329
_cell_angle_alpha 90.00
_cell_angle_beta 90.00
_cell_angle_gamma 90.00
loop_
_symmetry_equiv_pos_as_xyz
'x,y,z'
loop_
_atom_site_label
_atom_site_type_symbol
_atom_site_fract_x
_atom_site_fract_y
_atom_site_fract_z
Tl1 Tl 0.000 0.000 0.000
Tl2 Tl 0.500 0.500 0.276
In1 In 0.000 0.000 0.526
Te1 Te 0.500 0.500 0.734
# uncorrected formation energy: -0.1555 eV per atom
# ΔE to the lowest computed polymorph: 4.9 meV/atom
# Fermi-level density of states: 0.8 states/eV/cell



(2)
# Tl2In2Te, optimized geometry, DFT GGA-PBE
data_Tl2In2Te
_symmetry_space_group_name_H-M 'P 1'
_symmetry_Int_Tables_number 1
_cell_length_a 8.241
_cell_length_b 8.241
_cell_length_c 4.660
_cell_angle_alpha 90.00
_cell_angle_beta 90.00
_cell_angle_gamma 90.00
loop_
_symmetry_equiv_pos_as_xyz
'x,y,z'
loop_
_atom_site_label
_atom_site_type_symbol
_atom_site_fract_x
_atom_site_fract_y
_atom_site_fract_z
Tl1 Tl 0.168 0.332 0.000
Tl2 Tl 0.332 0.832 0.000
Tl3 Tl 0.668 0.168 0.000
Tl4 Tl 0.832 0.668 0.000
In1 In 0.138 0.638 0.500
In2 In 0.362 0.138 0.500
In3 In 0.638 0.862 0.500
In4 In 0.862 0.362 0.500
Te1 Te 0.000 0.000 0.500
Te2 Te 0.500 0.500 0.500
# uncorrected formation energy: -0.0476 eV per atom
# ΔE to the lowest computed polymorph: 0.0 meV/atom
# Fermi-level density of states: 5.6 states/eV/cell



(3)
# Tl3InTe4, optimized geometry, DFT GGA-PBE
data_Tl3InTe4
_symmetry_space_group_name_H-M 'P 1'
_symmetry_Int_Tables_number 1
_cell_length_a 11.752
_cell_length_b 7.389
_cell_length_c 7.287
_cell_angle_alpha 90.00
_cell_angle_beta 90.00
_cell_angle_gamma 90.00
loop_
_symmetry_equiv_pos_as_xyz
'x,y,z'
loop_
_atom_site_label
_atom_site_type_symbol
_atom_site_fract_x
_atom_site_fract_y
_atom_site_fract_z
Tl1 Tl 0.000 0.228 0.000
Tl2 Tl 0.249 0.289 0.476
Tl3 Tl 0.251 0.711 0.976
Tl4 Tl 0.500 0.772 0.500
Tl5 Tl 0.749 0.711 0.976
Tl6 Tl 0.751 0.289 0.476
In1 In 0.000 0.815 0.446
In2 In 0.500 0.185 0.946
Te1 Te 0.000 0.192 0.531
Te2 Te 0.000 0.771 0.056
Te3 Te 0.219 0.700 0.551
Te4 Te 0.281 0.300 0.051
Te5 Te 0.500 0.229 0.556
Te6 Te 0.500 0.808 0.031
Te7 Te 0.719 0.300 0.051
Te8 Te 0.781 0.700 0.551
# uncorrected formation energy: -0.2277 eV per atom



(4)
# Tl2InTe, optimized geometry, DFT GGA-PBE
data_Tl2InTe
_symmetry_space_group_name_H-M 'P 1'
_symmetry_Int_Tables_number 1
_cell_length_a 4.197
_cell_length_b 4.197
_cell_length_c 7.137
_cell_angle_alpha 90.00
_cell_angle_beta 90.00
_cell_angle_gamma 90.00
loop_
_symmetry_equiv_pos_as_xyz
'x,y,z'
loop_
_atom_site_label
_atom_site_type_symbol
_atom_site_fract_x
_atom_site_fract_y
_atom_site_fract_z
Tl1 Tl 0.000 0.000 0.243
Tl2 Tl 0.000 0.000 0.757
In1 In 0.500 0.500 0.500
Te1 Te 0.500 0.500 0.000
# uncorrected formation energy: -0.1246 eV per atom
# ΔE to the lowest computed polymorph: 35.7 meV/atom
# Fermi-level density of states: 0.6 states/eV/cell



(5)
# Tl2In2Te5, optimized geometry, DFT GGA-PBE
data_Tl2In2Te5
_symmetry_space_group_name_H-M 'P 1'
_symmetry_Int_Tables_number 1
_cell_length_a 8.880
_cell_length_b 8.880
_cell_length_c 10.583
_cell_angle_alpha 116.86
_cell_angle_beta 116.86
_cell_angle_gamma 29.73
loop_
_symmetry_equiv_pos_as_xyz
'x,y,z'
loop_
_atom_site_label
_atom_site_type_symbol
_atom_site_fract_x
_atom_site_fract_y
_atom_site_fract_z
Tl1 Tl 0.140 0.140 0.279
Tl2 Tl 0.860 0.860 0.721
In1 In 0.445 0.445 0.303
In2 In 0.555 0.555 0.697
Te1 Te 0.092 0.092 0.890
Te2 Te 0.370 0.370 0.496
Te3 Te 0.500 0.500 0.000
Te4 Te 0.630 0.630 0.504
Te5 Te 0.908 0.908 0.110
# uncorrected formation energy: -0.1919 eV per atom
# Fermi-level density of states: 3.5 states/eV/cell



(6)
# Tl2InTe, optimized geometry, DFT GGA-PBE
data_Tl2InTe
_symmetry_space_group_name_H-M 'P 1'
_symmetry_Int_Tables_number 1
_cell_length_a 6.326
_cell_length_b 6.326
_cell_length_c 6.326
_cell_angle_alpha 135.00
_cell_angle_beta 134.29
-- stop --

**To do:**
Could you set down the whole of the notes earlier on unchanged?

**Response:**
(1)
# Tl2InTe, optimized geometry, DFT GGA-PBE
data_Tl2InTe
_symmetry_space_group_name_H-M 'P 1'
_symmetry_Int_Tables_number 1
_cell_length_a 4.135
_cell_length_b 4.135
_cell_length_c 7.329
_cell_angle_alpha 90.00
_cell_angle_beta 90.00
_cell_angle_gamma 90.00
loop_
_symmetry_equiv_pos_as_xyz
'x,y,z'
loop_
_atom_site_label
_atom_site_type_symbol
_atom_site_fract_x
_atom_site_fract_y
_atom_site_fract_z
Tl1 Tl 0.000 0.000 0.000
Tl2 Tl 0.500 0.500 0.276
In1 In 0.000 0.000 0.526
Te1 Te 0.500 0.500 0.734
# uncorrected formation energy: -0.1555 eV per atom
# ΔE to the lowest computed polymorph: 4.9 meV/atom
# Fermi-level density of states: 0.8 states/eV/cell



(2)
# Tl2In2Te, optimized geometry, DFT GGA-PBE
data_Tl2In2Te
_symmetry_space_group_name_H-M 'P 1'
_symmetry_Int_Tables_number 1
_cell_length_a 8.241
_cell_length_b 8.241
_cell_length_c 4.660
_cell_angle_alpha 90.00
_cell_angle_beta 90.00
_cell_angle_gamma 90.00
loop_
_symmetry_equiv_pos_as_xyz
'x,y,z'
loop_
_atom_site_label
_atom_site_type_symbol
_atom_site_fract_x
_atom_site_fract_y
_atom_site_fract_z
Tl1 Tl 0.168 0.332 0.000
Tl2 Tl 0.332 0.832 0.000
Tl3 Tl 0.668 0.168 0.000
Tl4 Tl 0.832 0.668 0.000
In1 In 0.138 0.638 0.500
In2 In 0.362 0.138 0.500
In3 In 0.638 0.862 0.500
In4 In 0.862 0.362 0.500
Te1 Te 0.000 0.000 0.500
Te2 Te 0.500 0.500 0.500
# uncorrected formation energy: -0.0476 eV per atom
# ΔE to the lowest computed polymorph: 0.0 meV/atom
# Fermi-level density of states: 5.6 states/eV/cell



(3)
# Tl3InTe4, optimized geometry, DFT GGA-PBE
data_Tl3InTe4
_symmetry_space_group_name_H-M 'P 1'
_symmetry_Int_Tables_number 1
_cell_length_a 11.752
_cell_length_b 7.389
_cell_length_c 7.287
_cell_angle_alpha 90.00
_cell_angle_beta 90.00
_cell_angle_gamma 90.00
loop_
_symmetry_equiv_pos_as_xyz
'x,y,z'
loop_
_atom_site_label
_atom_site_type_symbol
_atom_site_fract_x
_atom_site_fract_y
_atom_site_fract_z
Tl1 Tl 0.000 0.228 0.000
Tl2 Tl 0.249 0.289 0.476
Tl3 Tl 0.251 0.711 0.976
Tl4 Tl 0.500 0.772 0.500
Tl5 Tl 0.749 0.711 0.976
Tl6 Tl 0.751 0.289 0.476
In1 In 0.000 0.815 0.446
In2 In 0.500 0.185 0.946
Te1 Te 0.000 0.192 0.531
Te2 Te 0.000 0.771 0.056
Te3 Te 0.219 0.700 0.551
Te4 Te 0.281 0.300 0.051
Te5 Te 0.500 0.229 0.556
Te6 Te 0.500 0.808 0.031
Te7 Te 0.719 0.300 0.051
Te8 Te 0.781 0.700 0.551
# uncorrected formation energy: -0.2277 eV per atom



(4)
# Tl2InTe, optimized geometry, DFT GGA-PBE
data_Tl2InTe
_symmetry_space_group_name_H-M 'P 1'
_symmetry_Int_Tables_number 1
_cell_length_a 4.197
_cell_length_b 4.197
_cell_length_c 7.137
_cell_angle_alpha 90.00
_cell_angle_beta 90.00
_cell_angle_gamma 90.00
loop_
_symmetry_equiv_pos_as_xyz
'x,y,z'
loop_
_atom_site_label
_atom_site_type_symbol
_atom_site_fract_x
_atom_site_fract_y
_atom_site_fract_z
Tl1 Tl 0.000 0.000 0.243
Tl2 Tl 0.000 0.000 0.757
In1 In 0.500 0.500 0.500
Te1 Te 0.500 0.500 0.000
# uncorrected formation energy: -0.1246 eV per atom
# ΔE to the lowest computed polymorph: 35.7 meV/atom
# Fermi-level density of states: 0.6 states/eV/cell



(5)
# Tl2In2Te5, optimized geometry, DFT GGA-PBE
data_Tl2In2Te5
_symmetry_space_group_name_H-M 'P 1'
_symmetry_Int_Tables_number 1
_cell_length_a 8.880
_cell_length_b 8.880
_cell_length_c 10.583
_cell_angle_alpha 116.86
_cell_angle_beta 116.86
_cell_angle_gamma 29.73
loop_
_symmetry_equiv_pos_as_xyz
'x,y,z'
loop_
_atom_site_label
_atom_site_type_symbol
_atom_site_fract_x
_atom_site_fract_y
_atom_site_fract_z
Tl1 Tl 0.140 0.140 0.279
Tl2 Tl 0.860 0.860 0.721
In1 In 0.445 0.445 0.303
In2 In 0.555 0.555 0.697
Te1 Te 0.092 0.092 0.890
Te2 Te 0.370 0.370 0.496
Te3 Te 0.500 0.500 0.000
Te4 Te 0.630 0.630 0.504
Te5 Te 0.908 0.908 0.110
# uncorrected formation energy: -0.1919 eV per atom
# Fermi-level density of states: 3.5 states/eV/cell



(6)
# Tl2InTe, optimized geometry, DFT GGA-PBE
data_Tl2InTe
_symmetry_space_group_name_H-M 'P 1'
_symmetry_Int_Tables_number 1
_cell_length_a 6.326
_cell_length_b 6.326
_cell_length_c 6.326
_cell_angle_alpha 135.00
_cell_angle_beta 134.29